Recently, Norberto Santana of the
Voice of OC reported that
LFC—a company that Tom Fuentes worked for (still does?) and that
contributed to John Williams’ PAPG reelection campaign—has been awarded a large contract to liquidate properties controlled by Williams’ office (see
Focus on Contract Between Auction House and Public Administrator).
We here at DtB have examined Fuentes’ ties with LFC before. What follows is from "
Trustee Fuentes' boss, Buffalo Bill Lange" (2006).

checked out Trustee Fuentes’ bio on the district website. It informs us that he is "Senior Vice President of the LFC Group of Companies.”
So I looked up the LFC “group.” LFC is owned by one William Lange (the L is for "Lange"). The company arranges online auctions of real estate. Imagine that!
Apparently, LFC is doing very well. According to a news release (likely authored by LFC) that appeared on
PRnewswire in January,
In a record setting online auction, a 200… acre parcel of real estate in South Florida is being auctioned with a record setting seller's suggested value of [$]80 Million USD. This mixed use property has the potential to attract a wide range of buyers both in the US and internationally, in what is believed to be the highest value online real estate auction of all time.” The auction is being conducted by “LFC Online.”
~~~
Starting from a DFT-relaxed cell (GGA-PBE, Alexandria), the PXRD pattern of Th2IrRh2 was simulated for Cu Kα (λ = 1.5418 Å).
Intensities are scaled so that the largest is 1000.

Most intense lines, 10° ≤ 2θ ≤ 90°, by intensity:
35.78°, rel. 1000, hkl 2 1 2; 33.61°, rel. 622, hkl 2 0 2; 38.36°, rel. 445, hkl 3 1 0; 56.48°, rel. 233, hkl 4 1 2; 62.55°, rel. 226, hkl 3 1 4; 34.18°, rel. 198, hkl 2 2 0

Structure:
```
data_Th2IrRh2
_space_group_name_H-M_alt 'P 4/m n c'
_space_group_IT_number 128
_space_group_name_Hall '-P 4 2n'
_cell_length_a 7.4201
_cell_length_b 7.4201
_cell_length_c 7.6714
_cell_angle_alpha 90.00
_cell_angle_beta 90.00
_cell_angle_gamma 90.00
loop_
_atom_site_label
_atom_site_type_symbol
_atom_site_fract_x
_atom_site_fract_y
_atom_site_fract_z
_atom_site_occupancy
Th1 Th 0.1824 0.3176 0.0000 1
Ir1 Ir 0.0000 0.0000 0.2494 1
Rh1 Rh 0.1296 0.6296 0.2500 1
```



Starting from a DFT-relaxed cell (GGA-PBE, Alexandria), the PXRD pattern of ThIrRh3 was simulated for Cu Kα (λ = 1.5418 Å).
Intensities are scaled so that the largest is 1000.

Most intense lines, 10° ≤ 2θ ≤ 90°, by intensity:
44.55°, rel. 1000, hkl 1 3 1; 36.75°, rel. 731, hkl 0 0 2; 31.46°, rel. 681, hkl 2 0 0; 24.38°, rel. 661, hkl 0 2 0; 26.97°, rel. 591, hkl 1 1 1; 40.20°, rel. 518, hkl 2 2 0

Structure:
```
data_ThIrRh3
_space_group_name_H-M_alt 'P b a m'
_space_group_IT_number 55
_space_group_name_Hall '-P 2 2ab'
_cell_length_a 5.6875
_cell_length_b 7.3012
_cell_length_c 4.8915
_cell_angle_alpha 90.00
_cell_angle_beta 90.00
_cell_angle_gamma 90.00
loop_
_atom_site_label
_atom_site_type_symbol
_atom_site_fract_x
_atom_site_fract_y
_atom_site_fract_z
_atom_site_occupancy
Th1 Th 0.0000 0.0000 0.0000 1
Ir1 Ir 0.0000 0.5000 0.5000 1
Rh1 Rh 0.0000 0.5000 0.0000 1
Rh2 Rh 0.1043 0.1671 0.5000 1
```



Starting from a DFT-relaxed cell (GGA-PBE, Alexandria), the PXRD pattern of Th2Ir5Rh5 was simulated for Cu Kα (λ = 1.5418 Å).
Intensities are scaled so that the largest is 1000.

Most intense lines, 10° ≤ 2θ ≤ 90°, by intensity:
39.82°, rel. 1000, hkl 1 2 0; 28.19°, rel. 573, hkl 1 0 2; 39.38°, rel. 379, hkl 0 2 2; 41.25°, rel. 373, hkl 2 0 0; 58.31°, rel. 372, hkl 2 0 4; 44.69°, rel. 215, hkl 1 2 2

Structure:
```
data_Th2Ir5Rh5
_space_group_name_H-M_alt 'P m m m'
_space_group_IT_number 47
_space_group_name_Hall '-P 2 2'
_cell_length_a 4.3771
_cell_length_b 5.2789
_cell_length_c 9.1826
_cell_angle_alpha 90.00
_cell_angle_beta 90.00
_cell_angle_gamma 90.00
loop_
_atom_site_label
_atom_site_type_symbol
_atom_site_fract_x
_atom_site_fract_y
_atom_site_fract_z
_atom_site_occupancy
Th1 Th 0.0000 0.0000 0.0000 1
Th2 Th 0.0000 0.5000 0.5000 1
Ir1 Ir 0.5000 0.0000 0.5000 1
Ir2 Ir 0.5000 0.2514 0.2515 1
Rh1 Rh 0.0000 0.0000 0.3318 1
Rh2 Rh 0.0000 0.5000 0.1668 1
Rh3 Rh 0.5000 0.5000 0.0000 1
```



Starting from a DFT-relaxed cell (GGA-PBE, Alexandria), the PXRD pattern of TiIr2Rh3 was simulated for Cu Kα (λ = 1.5418 Å).
Intensities are scaled so that the largest is 1000.
~~~
This Fuentes fella sure does have an interesting relation to big money. He’s like an iron filing in a world of Filthy Rich Magneto-Men.
If you go to the
LFC website, you'll find a very odd “history” of the company. Inexplicably, the entire history is devoted to the tale of a "Buffalo Ranch" [
see] in Newport Beach. We’re told that
Until recently, this working ranch, located in the heart of Newport Beach, California, doubled as LFC’s corporate headquarters….
In 1986, after a 25-year absence, LFC’s founder, Bill Lange, reintroduced a herd of American bison, commonly called buffalo, to LFC’s Buffalo Ranch. The new herd included Scotty, our 2000-pound male, along with Wendy, Amanda and Patti. The Buffalo Ranch soon became a standard fixture on the elementary school circuit. After all, not every city has its own buffalo herd!!
Each summer LFC would invite its clients from throughout the United States and around the world to what became known simply as the “Buffalo Ranch Barbecue.” This one-day event became famous for its diverse group of guests. Chinese, Japanese, Mexicans, Canadians, Europeans and Americans would all show up in their best cowboy and cowgirl outfits to share a day of great country western music, good steaks and Bill’s Beans.
I’m not making this up,
honest I'm not. If you take the online tour, you learn lots more about the history of the Buffalo Ranch:
...the Buffalo Ranch was used as a working part of the Irvine Ranch until 1954, when buffalo rancher Gene Clark opened it as a public attraction and imported over 100 head of buffalo to the 115-acre parcel of land….
Occupied in the 1970’s by the late famed architect William Pereira, a self-proclaimed "barn freak," the Buffalo Ranch red clapboard barn and buildings provided a tranquil and relaxed setting for Pereira, who renamed the ranch "Urbanus." From his office atop the silo, Pereira produced plans for UC Irvine and Fashion Island.

--Well, I guess that explains why so much bullshit emanates from UCI. But I digress. This history continues:
From 1986 to 1994, The LFC Group of Companies made the Buffalo Ranch our headquarters…. Employees played volleyball on the back lawn, tended the bison, held western barbeques and enjoyed the rustic setting of Lange Financial Plaza. Newport Beach provided the perfect setting for the bison to roam amid beautiful surroundings. When The Irvine Company announced plans to develop the adjacent property into condominiums and apartments, an outspoken contingent of Orange County residents took it to heart. Attempting to block the proposed development, they started a grass roots organization called "Friends of the Buffalo Ranch." The development ultimately received approval from the planning commission. Part of the barn structure was declared an historic site and was moved to the Orange County Fairgrounds.
The bison herd was donated to the Discovery Museum of Orange County and auctioned (naturally). Becky was donated to the Orange County Fairgrounds and is still visited today by Buffalo Bill [i.e., William Lange] and his family.
I Googled the name “William Lange” with “LFC” and I didn’t find much.
I did, however, find that, in 1997, Lange was sued by the government. Evidently, the Justice Department was convinced that “Buffalo Bill” was committing fraud in a very big way. A year after charges were filed, the matter was settled, and the defendants (including Buffalo Bill) admitted no wrongdoing.
The charges are amazing. You’ve really got to check this out. I tell you, this "fraud" yarn is like an episode of
Knott’s Landing! Picture Buffalo Bill as William Devane and his wife as Donna Mills.
The tale is told on the website for the Federal Deposit Insurance Corporation’s (FDIC) news releases [
News Release]:
The suit described in PR-49-97 (7-18-97) [see below] was settled by an agreement between the United States Department of Justice,
William W. Lange, Alisha A. Jensen Lange, Lange Financial Corporation, Asset Clearinghouse, Inc., and Richard H.W. Bennett, executed by all parties on November 13, 1998. That agreement contains a statement that it does not constitute an admission of liability or an admission of the truth, substantial merit or validity of any previously disputed claim or factual assertion.
[The site next presents what appears to be an earlier press release [from 7/18/97?]:
FDIC Inspector General Gaston L. Gianni, Jr., announced today that the Justice Department filed suit July 15 against three California residents charging them with fraud that resulted in nearly $3.6 million in profits from contracts issued by the FDIC and the former Resolution Trust Corporation (RTC) to auction assets.
This case is the result of an ongoing investigation by the FDIC Office of Inspector General. The defendants named in the lawsuit are:
• William W. Lange of Corona Del Mar
• Alisha A. Jensen Lange (William Lange's wife) of Corona Del Mar, and
• Richard H.W. Bennett of Yorba Linda. Mr. Bennett is a certified public accountant and the brother-in-law of Alisha Lange.
The civil complaint, filed pursuant to the False Claims Act, alleges that the defendants fraudulently acquired contracts and overbilled the two agencies for work performed. The three were allegedly responsible for more than 2,500 false claims submitted to the FDIC and the RTC.
In the scheme outlined in the lawsuit, Ms. Lange owned "on paper" a sham company called LFC Real Estate Clearinghouse, Inc. (LFCREC). The company in fact was created, owned and operated by her husband, William Lange. The Langes improperly certified that LFCREC was woman-owned, enabling the firm to obtain lucrative government contracts. Those contracts, procured from 1992 through 1994, called for the LFCREC to auction property for the FDIC and the RTC that the agencies had acquired from failed financial institutions.
According to the lawsuit, LFCREC fraudulently obtained contracts to perform more than a dozen auctions in California, Texas, Louisiana, Massachusetts, Connecticut and New Jersey. The shell company was paid more than $1 million in commissions, approximately one percent of the assets sold. LFCREC was also reimbursed more than $2.5 million for expenses the firm claimed to have incurred in connection to the auctions.
The civil complaint alleges that LFCREC was a shell company for Lange Financial Corporation, a Newport Beach firm that is one of the largest auctioneers in the country with several subsidiaries. In addition to falsely stating that LFCREC was woman-owned, LFCREC allegedly hired subsidiaries of Lange Financial to perform auction-related work and failed to disclose that the subsidiaries were "related companies." The subsidiaries purportedly overbilled for services, including charging the government $80 per hour for work that cost $24 per hour. Mr. Bennett allegedly prepared and submitted "padded" bills to the FDIC and RTC.
Under federal law, the Langes and Mr. Bennett are potentially liable for damages of up to three times the nearly $3.6 million paid to LFCREC, and up to $10,000 in fines for each of the more than 2,500 alleged false claims. The Financial Institutions Reform, Recovery, and Enforcement Act of 1989 (FIRREA) provides an additional $5 million penalty for making false statements designed to influence the RTC and the FDIC.
Like I said, it’s essentially an episode of Knott’s Landing.
And our Tom Fuentes is the Senior VP of Buffalo Bill (Devane) Lange’s LFC.
Why does this make so much sense? I am filled with calm and a profound sense of understanding.
Be likewise.
William Lange LFC's Blog
106 F.3d 391 (Appeal of judgment) Also
LFC Group of Companies
Quatloos/Investment Fraud Skip to last section: LFC Marketing Group, Inc. v. Loomis (09/19/2000)
Auctioneer Is Accused of Scheme to Defraud U.S. (LA Times,
Courts: William W. Lange, who helped broker deals for O.C. properties, is named in $43.5-million civil suit.
William W. Lange, an auctioneer who has worked for tycoon Donald Trump and sold some of Orange County's properties in bankruptcy, was accused in a civil lawsuit of creating a phony female-owned business to win federal contracts.
The suit, filed by the U.S. attorney's office, also accuses Lange, his wife, Alisha, and her brother-in-law, Richard H.W. Bennett, of covering up evidence of the alleged sham company and of overbilling the government as much as triple the going rate.
The recent lawsuit seeks $3.6 million that government agencies paid in commissions and expenses to Alisha Lange and her LFC Real Estate Clearinghouse, which prosecutors called a front for William Lange and his Lange Financial Corp.
With trebling of damages and other penalties sought for false claims, the total amount the government is seeking is $43.5 million.
The lawsuit stems from work Clearinghouse did in the early 1990s for the Resolution Trust Corp. and the Federal Deposit Insurance Corp., agencies that were disposing of assets from, respectively, failed savings and loans and failed banks.
U.S. Atty. Nora M. Manella said[*] that in helping to clean up the S&L debacle of the 1980s, "Mr. Lange masterminded a multifaceted fraud that allowed him to profit illegally from the savings and loan crisis and from programs designed to help women."
John Petrasich, attorney for the Langes, denied that his clients did anything wrong, calling the lawsuit "nonsense." Clearinghouse, he said, "is and was from its inception a wholly owned company of Alisha Lange."
He acknowledged that William Lange was an officer in her company, but that fact didn't make it ineligible for special consideration under federal rules granting preferences to minority- and female-owned businesses in contracts awarded by the RTC and the FDIC.
The agencies regularly used outside contractors to manage, market and sell real estate, securities and other assets held by failed financial institutions.
Clearinghouse handled more than a dozen auctions nationwide of primarily residential real estate for the two agencies in the early 1990s, according to both sides.
By then, Lange Financial, founded in 1986, was becoming a major auctioneer nationwide by helping financial institutions, real estate developers and others market and sell properties that weren't otherwise moving.
*In March of ’99, in court, U.S. Court Judge Manella opined that the SOCCCD's action against me/Dissent was “Orwellian” (1st Amendment Battles).